Going Deep on Carbon Capture and Sequestration

2023 CCS Journalist Convening

Please join us for an in-person deep dive with leading scientists, experts, and frontline leaders to uncover what’s behind big oil’s relentless marketing campaign of this flawed technology, and what’s at stake for communities in Texas and across the country on Thursday, October 26 and Friday October 27.

RSVP today!


AC Hotel by Marriott
723 Main Street
Houston, Texas 77002


Thursday October 26, 2023
1:00 – 5:00 p.m.: Guided tour of Houston-area carbon capture and storage project sites and neighboring communities, led by community leaders
6:00 – 8:00 p.m.: Welcome reception

Friday, October 27, 2023
8:00 – 9:00 a.m.: Breakfast
9:00 a.m. – 4:30 p.m.: Presentations and panel discussions


John Beard, Jr.

“John Beard, Jr. is the founder and CEO of Port Arthur Community Action Network. After working in the oil industry for 38 years, Beard turned to holding the industry accountable and became a community advocate in his hometown of Port Arthur, Texas fighting for health and safety protections in an area teeming with refineries, export terminals, petrochemical plants… and cancer. He is a recipient of the 2021 Rose Bratz Award from the Center for Biological Diversity, and the Community Sentinel Award from the Halt the Harm Network. He has met with key members of the Biden Administration and Congress during the 2022 budget debate which led to the successful removal of harmful permitting provisions from the budget bill. Recently, PACAN CEO Beard was a delegate in Paris to the United Nations Conference on the Global Plastics Treaty, Geneva for the UN Conference on Chemical Waste and ICCM5 in Bonn, Germany.

Dr. Robert Bullard

Dr. Robert D. Bullard is a distinguished professor of urban planning and environmental policy and founding director of the Bullard Center for Environmental and Climate Justice at Texas Southern University. He is also co-founder of the HBCU Climate Change Consortium and the National Black Environmental Justice Network. He received his Ph.D. degree from Iowa State University. Professor Bullard is often called the “father of environmental justice.” He is the author of 18 books. His latest book is The Wrong Complexion for Protection: How the Government Response to Disaster Endangers African American Communities (2012). In 2008, Newsweek named him one of “13 Environmental Leaders of the Century.” In 2019, Apolitical named him one of the world’s 100 Most Influential People in Climate Policy, and Climate One presented him the Stephen H. Schneider Award for Outstanding Climate Science Communication. In 2020, WebMD gave him its Health Heroes Trailblazer Award and the United Nations Environment Program (UNEP) honored him with its Champions of the Earth Lifetime Achievement Award. In 2021, he was appointed by President Biden to serve on the White House Environmental Justice Advisory Council. In 2022, he was awarded honorary doctorate degrees from Georgetown University and the University of Johannesburg. That same year he received the Association for the Advancement of Sustainability in Higher Education (AASHE) Lifetime Achievement Award and was elected to the American Academy of Arts and Sciences. Most recently, Dr. Bullard received the Harvard Law School Environmental Law Society’s Horizon Award, which recognizes outstanding contributions to environmental law and policy.

Bill Caram

Bill has served as the Pipeline Safety Trust’s Executive Director since 2020 and serves with a passion for fierce independence, public safety advocacy, and environmental protections. The Pipeline Safety Trust is the only national non-profit watchdog organization on the pipeline industry and was formed in the wake of the 1999 Olympic Pipeline Disaster in Bellingham, WA.

Bill serves on the U.S. Department of Transportation’s Hazardous Liquids Pipeline Advisory Committee (LPAC), serves on a White House CO2 CCUS Permitting Task Force, and is regularly called on as a source for independent pipeline information by state and federal lawmakers and national media outlets.

Emily Grubert

Dr. Emily Grubert is Associate Professor of Sustainable Energy Policy, and, concurrently, of Civil and Environmental Engineering and Earth Sciences at the University of Notre Dame. Her research focuses on justice-oriented deep decarbonization and decision support tools related to large infrastructure systems, with emphasis on evaluation of dynamic life cycle socioenvironmental impacts and the effects of different value systems on decision pathways. Grubert holds a Ph.D. in Environment and Resources from Stanford University and previously served as Deputy Assistant Secretary for Carbon Management (2021-2022) and Senior Advisor for Energy Asset Transformation (2022-2023) at the US Department of Energy. She is currently Editor-in-Chief of Environmental Research: Energy.

Autumn Hanna

As vice president Autumn oversees TCS programs, serves as spokesperson, and leads the group’s legislative and outreach strategies. She has over two decades of policy expertise in areas including energy tax policy and subsidies, carbon pricing, hardrock mining, timber subsidies, oil and gas leasing, carbon capture and storage, western water, and integrated water projects. Her portfolio also includes energy financing mechanisms, including federal loan guarantees; and revenues derived from resource extraction on federal lands and waters. She has been published in major news outlets including the Washington Post, New York Times, and Wall Street Journal and has testified before both the U.S. House of Representatives and U.S. Senate.

Before joining TCS, Autumn worked on energy and natural resource issues at Penn State University. She has studied at the National University in Heredia, Costa Rica, and graduated Phi Beta Kappa from the Penn State University Schreyer Honors College.

Charles Harvey

Charles Harvey has worked for the US Geological Survey, was a faculty member at Harvard University and is now a Professor of Environmental Engineering at MIT. He is a fellow of the American Geophysical Union and the Geologic Society of America and has received the M. King Hubbert Award for contributions to hydrogeology, the Abdulaziz International Prize for Water, and the Meinzer Award for advancing the science of hydrology. He has built international multidisciplinary field projects: On Borneo, a program to study tropical peatlands, ecosystems that now emit enormous fluxes of carbon dioxide to the atmosphere; In Bangladesh, a field program to study arsenic contamination of well water, a health crisis that continues to kill hundreds of thousands of people.

Rebekah Hinojosa

# Here the article breaks off for calculated crystals
'''
MgV12Zn6O24 | GGA+U | optimized geometry

Structure (extended XYZ):
```
43
Lattice="-5.4732 2.6127 -1.0406 -3.6912 -2.2270 -4.2754 -15.6585 -9.0185 5.0624" Properties=species:S:1:pos:R:3 pbc="T T T"
Zn -1.7582 -0.2770 -0.5275
O -14.1807 -6.7373 2.3789
Mg -10.0079 -3.8930 -2.6848
V -17.6264 -7.3135 1.5606
Zn -12.2592 -6.3919 2.9212
O -15.9277 -5.0848 -0.9472
O -8.1129 -0.2858 -3.5020
O -9.1218 -3.8993 0.8204
V -7.1058 -1.1239 -1.8594
V -15.2209 -3.1773 -0.6527
O -13.5984 -3.8086 -1.6509
Zn -17.8845 -5.4489 -1.4122
Zn -20.2321 -8.8380 2.3122
O -5.4542 -1.7553 -2.9623
Zn -7.5312 -4.2114 1.7922
O -10.5126 -1.8626 -2.6025
O -21.0891 -7.8535 0.5828
O -10.7706 -4.9789 -1.2731
V -14.8998 -8.6255 2.0650
O -18.7112 -6.6212 -0.0644
O -13.4147 -6.2858 -0.4736
V -4.3592 -2.4356 -1.3341
Zn -12.2445 -1.6568 -3.4358
O -15.9327 -7.7368 0.4711
O -11.4194 -5.2393 1.4808
O -16.5402 -8.0265 3.1643
O -14.1844 -3.9846 1.0003
O -19.2758 -6.7812 2.6249
O -11.5534 -2.7401 0.3575
V -22.9765 -8.2164 0.1513
O -16.6552 -5.5020 1.9596
V -15.0491 -5.8765 0.7551
V -12.4783 -4.4890 -0.1318
V -9.6906 -2.4257 -0.5705
O -6.0222 -1.8534 -0.2888
O -8.7910 -0.5861 -0.7199
V -10.6626 -3.3979 2.0837
V -5.1687 0.1125 0.1619
O -6.2027 0.6471 -1.5670
O -18.5004 -9.1290 1.0459
O -8.1847 -2.9767 -2.1589
O -3.6351 -0.5859 -1.0698
V -15.7764 -6.2143 3.6676
```

## Properties
* space group: No. 1
* final energy: -0.5063 Ry/atom


No. 1
# Ba2Cr3O8 | the Materials Project | PBE with a Hubbard U | relaxed
# VASP energy: -0.253 hartree per atom
# ΔE_f: -2195.1 meV/atom
# total magnetization: 0.46 μB/atom
data_Ba2Cr3O8
_space_group_name_H-M_alt 'P 4/m m m'
_space_group_IT_number 123
_space_group_name_Hall '-P 4 2'
_cell_length_a 3.8682
_cell_length_b 3.8682
_cell_length_c 12.1468
_cell_angle_alpha 90.00
_cell_angle_beta 90.00
_cell_angle_gamma 90.00
loop_
_atom_site_label
_atom_site_fract_x
_atom_site_fract_y
_atom_site_fract_z
Ba1 0.0000 0.0000 0.1721
Cr1 0.5000 0.5000 0.0000
Cr2 0.5000 0.5000 0.3320
O1 0.0000 0.5000 0.0000
O2 0.0000 0.5000 0.3477
O3 0.5000 0.5000 0.1737


No. 2
# Na2CoP4H16O20 | the Materials Project | PBE with a Hubbard U | relaxed
# VASP energy: -0.212 hartree per atom
# ΔE_f: -1820.3 meV/atom
# total magnetization: 0.02 μB/atom
data_Na2CoP4H16O20
_space_group_name_H-M_alt 'P 1 21/c 1'
_space_group_IT_number 14
_space_group_name_Hall '-P 2ybc'
_cell_length_a 7.2506
_cell_length_b 10.8471
_cell_length_c 12.1711
_cell_angle_alpha 90.00
_cell_angle_beta 115.61
_cell_angle_gamma 90.00
loop_
_atom_site_label
_atom_site_fract_x
_atom_site_fract_y
_atom_site_fract_z
Na1 0.2059 0.1696 0.4583
Co1 0.5000 0.0000 0.0000
P1 0.0435 0.0453 0.7797
P2 0.3200 0.7432 0.0835
H1 0.0875 0.5846 0.4241
H2 0.1012 0.6132 0.9441
H3 0.1368 0.7071 0.7111
H4 0.2630 0.0902 0.1047
H5 0.3401 0.0365 0.6972
H6 0.4701 0.1649 0.1552
H7 0.4828 0.5701 0.1061
H8 0.4897 0.6200 0.8060
O1 0.0110 0.1848 0.8079
O2 0.0334 0.0389 0.1398
O3 0.0892 0.5187 0.8541
O4 0.1100 0.6728 0.0142
O5 0.2726 0.0268 0.8225
'''

Bekah is an artist and organizer from the Rio Grande Valley. She is currently working with South Texas Environmental Justice Network to stop the expansion of the fossil fuel industry that threatens low-income communities of color and sacred lands.

Dr. Alex Kolker

Dr. Alex Kolker is an earth scientist who has worked on the interface between human and natural processes across Earth’s coastal zones. He has studied sea level rise, coastal resilience, groundwater transport in deltas, air pollution in industrialized coastal environments and the geological risks associated with carbon capture. His work uses a combination of field, analytical, and data science methods to understand how these heavily dynamic and heavily populated parts of the world change in this era of intense human impacts.

Patrick Nye

Patrick Nye has more than forty years of experience in oil and gas exploration and over twenty years developing renewable wind projects throughout South Texas and Mexico. He holds a BA degree in Zoology and a BS degree in Geology. He is a member of the Society of Independent Professional Earth Scientists (SIPES), Texas Board of Professional Geoscientists, American Association of Petroleum Geologists. In 2022 Patrick received the SIPES Outstanding Service Award for his years of service to SIPES and the SIPES Foundation. Patrick resides in Ingleside on the Bay, Texas with his wife Julie. He serves as president for the non-profit Ingleside on the Bay Coastal Watch Association that addresses industrial expansion, relative sea level rise, seagrass loss, air and water quality monitoring along the Coastal Bend.

Roishetta Ozane

Roishetta Sibley Ozane is the founder of The Vessel Project of Louisiana, a small mutual aid and environmental justice organization. She is aLeo the Gulf Fossil Finance Coordinator with the Texas Campaign for the Environment Fund. Roishetta is an award winning, internationally known environmental justice advocate and has spoken on stages Nationally and abroad including in Egypt, Canada, and Malaysia championing for Black, indigenous, people of color communities and their right for clean air, clean water and sustainable communities that aren’t overburdened by fossil fuel buildout. Roishetta is a member of several organizations including National Association of University Women, McNeese State University Black Alumni, and a She Leads Fellow Alum for the Power Coalition of Equity and Justice. Additionally Roishetta is a single mom of 6 and her children are who she’s trying to make the world a better place for. Roishetta truly believes that no one is good until we are all good and she proves that daily through her giving heart and philanthropy.

Virginia Palacios

Virginia Palacios is Founder and Executive Director of Commission Shift, a statewide nonpartisan advocacy organization building public support to reform oil and gas oversight in Texas through accountability at the Railroad Commission of Texas (RRC). Palacios is a ninth-generation native of Webb County, one of the highest gas-producing counties in Texas. She has worked on water, air, soil, and methane issues related to oil and gas development since 2011. Palacios has co-authored several peer-reviewed studies on oil and gas methane emissions and reports proposing solutions for addressing orphaned wells, venting and flaring, and ethical conflicts at the RRC. She holds a Master of Environmental Management degree from Duke University, and was recently selected to serve on a White House Task Force on Carbon Capture, Utilization, and Storage (CCUS) on non-federal lands.

Jen Powis

Jen Powis is the managing attorney of the Gulf Regional Office for Earthjustice, the largest public interest environmental law firm in the nation. She leads Earthjustice’s litigation strategy, managing a team of attorneys across the Gulf South. She has nearly two decades of experience as a public interest attorney and has previously counseled a broad range of nonprofit entities across Texas. Prior to opening Earthjustice’s first office in Texas, she held various nonprofit legal roles. After initially sharpening her litigation skills as a federal law clerk and at a private firm, Jen went in house, working for multiple nonprofits to develop campaigns that united litigation with administrative advocacy. After nearly a decade in house, Jen opened her own firm where she represented and provided legal counsel to nonprofits on issues related to campaign development, land conservation, emergency management, and generally, the environment. After Hurricane Harvey hit Houston in 2017, Jen co-founded the Coalition for Environment, Equity, and Resilience, a collaborative of 25 organizations dedicated to raising awareness of the connections between pollution, place, and public health. She was named a Top Lawyer for Nonprofits in Houston by Houstonia magazine and continues to serve her local community through board leadership. Jen is a graduate of Texas A&M University and The University of Texas School of Law.

Paige Powell

As the saying goes, Paige “wasn’t born here, but got here as quick as she could!” She moved with her family from Cancer Alley, Louisiana to the Petro Metro of Houston, Texas as a baby and suffered with asthma as a child – a formative experience which sparked both a passion for air quality advocacy and a lifelong commitment to help advance common-sense environmental policy. Paige has served in the public, nonprofit, and education sectors for nearly two decades, working to promote environmental stewardship, advance social justice, and improve quality of life in the greater Houston region. They hold degrees in economics and public policy from the University of Houston; are a Certified Public Manager, Climate reality Leader, and Rice University Center for Environmental Studies Community Fellow.

Jane Patton

Jane is the Campaign Manager on the US Fossil Economy at the Center for International Environmental Law. Since 2016, Jane’s work has focused on organizing and coordinating groups around the world and in her home state of Louisiana in the fights against petrochemical pollution and false solutions to the climate and plastics crises.

David Schlissel

David Schlissel is the Director of Resource Planning Analysis at IEEFA. He has researched written, and testified as an expert witness on carbon capture and storage since 2016. He also is co-author of a recent IEEFA report on Blue Hydrogen: Not clean, not low carbon, not a solution. His commentaries, reports and testimony are available at ieefa.org.

Adrian Shelley

Adrian Shelley is a native Texan from the City of Houston. He is the Texas Director of Public Citizen, which works on issues including clean energy, environmental enforcement, and ethics reform. Adrian has a law degree from the University of Texas and previously served as the Executive Director for Air Alliance Houston. He enjoys spending time with his family, reading, playing music, growing food and other plants, and the outdoors.

Victoria Bogdan Tejeda

• Records of crystals, kept here for reference:
____________
No. 1
Density functional theory data (PBE with a Hubbard U) for a relaxed structure of Fe3Te4O12.

Summary:
Formation energy, eV per atom: -1.564
Electronic total energy, eV per cell: -448.3
Symmetry: P2_1/c

a = 7.468 Å, b = 9.310 Å, c = 16.134 Å
α = 71.51°, β = 90.00°, γ = 90.00°
Element x y z (fractional)
Te1 0.128 0.821 0.990
Te2 0.112 0.017 0.255
Te3 0.872 0.179 0.010
Te4 0.141 0.168 0.534
Te5 0.628 0.179 0.510
Te6 0.888 0.983 0.745
Te7 0.641 0.832 0.966
Te8 0.372 0.821 0.490
Te9 0.120 0.551 0.364
Te10 0.880 0.449 0.636
Te11 0.388 0.017 0.755
Te12 0.612 0.983 0.245
Te13 0.359 0.168 0.034
Te14 0.380 0.551 0.864
Te15 0.620 0.449 0.136
Te16 0.859 0.832 0.466
O1 0.334 0.176 0.615
O2 0.889 0.381 0.011
O3 0.428 0.191 0.433
O4 0.367 0.380 0.006
O5 0.076 0.850 0.740
O6 0.318 0.803 0.073
O7 0.894 0.472 0.171
O8 0.618 0.322 0.263
O9 0.157 0.461 0.673
O10 0.633 0.620 0.994
O11 0.182 0.803 0.573
O12 0.572 0.809 0.567
O13 0.942 0.131 0.617
O14 0.611 0.381 0.511
O15 0.198 0.119 0.791
O16 0.666 0.824 0.385
O17 0.118 0.358 0.337
O18 0.834 0.824 0.885
O19 0.928 0.809 0.067
O20 0.618 0.642 0.163
O21 0.682 0.197 0.927
O22 0.657 0.539 0.827
O23 0.606 0.472 0.671
O24 0.166 0.176 0.115
O25 0.882 0.642 0.663
O26 0.058 0.869 0.383
O27 0.302 0.119 0.291
O28 0.382 0.678 0.737
O29 0.382 0.358 0.837
O30 0.843 0.539 0.327
O31 0.802 0.881 0.209
O32 0.072 0.191 0.933
O33 0.133 0.380 0.506
O34 0.882 0.322 0.763
O35 0.576 0.150 0.760
O36 0.558 0.131 0.117
O37 0.924 0.150 0.260
O38 0.394 0.528 0.329
O39 0.111 0.619 0.989
O40 0.442 0.869 0.883
O41 0.343 0.461 0.173
O42 0.118 0.678 0.237
O43 0.389 0.619 0.489
O44 0.106 0.528 0.829
O45 0.818 0.197 0.427
O46 0.867 0.620 0.494
O47 0.698 0.881 0.709
O48 0.424 0.850 0.240
Fe1 0.870 0.683 0.193
Fe2 0.130 0.317 0.807
Fe3 0.868 0.326 0.303
Fe4 0.630 0.683 0.693
Fe5 0.132 0.674 0.697
Fe6 0.878 0.577 0.905
Fe7 0.378 0.423 0.595
Fe8 0.632 0.326 0.803
Fe9 0.622 0.577 0.405
Fe10 0.370 0.317 0.307
Fe11 0.122 0.423 0.095
Fe12 0.368 0.674 0.197



No. 2
Density functional theory data (PBE with a Hubbard U) for a relaxed structure of FeTe2O6.

Summary:
Formation energy, eV per atom: -1.396
Electronic total energy, eV per cell: -405.1
Symmetry: I4_1/acd

a = 11.233 Å, b = 11.233 Å, c = 11.233 Å
α = 96.86°, β = 116.12°, γ = 116.12°
Element x y z (fractional)
Fe1 0.250 0.021 0.271
Fe2 0.250 0.729 0.979
Fe3 0.250 0.229 0.479
Fe4 0.750 0.771 0.521
Fe5 0.250 0.521 0.771
Fe6 0.750 0.479 0.229
Fe7 0.750 0.979 0.729
Fe8 0.750 0.271 0.021
O1 0.565 0.115 0.828
O2 0.250 0.060 0.440
O3 0.732 0.866 0.116
O4 0.213 0.385 0.450
O5 0.503 0.885 0.626
O6 0.750 0.940 0.560
O7 0.750 0.810 0.690
O8 0.435 0.885 0.172
O9 0.758 0.374 0.877
O10 0.258 0.377 0.874
O11 0.619 0.310 0.060
O12 0.065 0.328 0.615
O13 0.497 0.115 0.374
O14 0.787 0.172 0.737
O15 0.213 0.828 0.263
O16 0.742 0.623 0.126
O17 0.935 0.672 0.385
O18 0.497 0.382 0.623
O19 0.435 0.550 0.763
O20 0.997 0.874 0.615
O21 0.565 0.450 0.237
O22 0.250 0.884 0.616
O23 0.065 0.737 0.950
O24 0.758 0.385 0.382
____________

As a Staff Attorney with the Center for Biological Diversity’s Climate Law Institute, Victoria fights false climate solutions such as CCS and biomass energy. Prior to joining the Center, she worked as an attorney with Earthjustice, where her role included litigating toxic chemical regulations and helping overburdened communities advance environmental justice. She holds a law degree from U.C. Davis School of Law.

Attached: records of crystals:
********
# 1
This record from the Materials Project describes a relaxed Mg14CoCuO16 crystal. The functional is PBE with a Hubbard U.

Spin magnetization ... 2.65 Bohr magnetons per cell
Crystal system ... orthorhombic
Polymorph energy (0 for the lowest one) ... 0.000 eV/atom
Space-group type ... No. 47

POSCAR file:
```
Mg14CoCuO16
1.0
4.256 0.000 0.000
0.000 8.504 0.000
0.000 0.000 8.527
Mg Co Cu O
14 1 1 16
Direct
0.000 0.000 0.000
0.000 0.000 0.500
0.000 0.251 0.250
0.000 0.251 0.750
0.000 0.749 0.250
0.000 0.749 0.750
0.500 0.000 0.250
0.500 0.000 0.750
0.500 0.252 0.000
0.500 0.252 0.500
0.500 0.500 0.249
0.500 0.500 0.751
0.500 0.748 0.000
0.500 0.748 0.500
0.000 0.500 0.000
0.000 0.500 0.500
0.000 0.000 0.250
0.000 0.000 0.750
0.000 0.248 0.000
0.000 0.249 0.500
0.000 0.500 0.240
0.000 0.500 0.760
0.000 0.751 0.500
0.000 0.752 0.000
0.500 0.000 0.000
0.500 0.000 0.500
0.500 0.251 0.250
0.500 0.251 0.750
0.500 0.500 0.000
0.500 0.500 0.500
0.500 0.749 0.250
0.500 0.749 0.750
```

# 2
This record from the Materials Project describes a relaxed Mg6CoCuO8 crystal. The functional is PBE with a Hubbard U.

Spin magnetization ... 3.78 Bohr magnetons per cell
Crystal system ... tetragonal
Polymorph energy (0 for the lowest one) ... 0.023 eV/atom
Space-group type ... No. 123

POSCAR file:
```
Mg6CoCuO8
1.0
4.250 0.000 0.000
0.000 4.250 0.000
0.000 0.000 8.531
Mg Co Cu O
6 1 1 8
Direct
0.000 0.000 0.000
0.000 0.500 0.252
0.000 0.500 0.748
0.500 0.000 0.252
0.500 0.000 0.748
0.500 0.500 0.000
0.000 0.000 0.500
0.500 0.500 0.500
0.000 0.000 0.248
0.000 0.000 0.752
0.000 0.500 0.000
0.000 0.500 0.500
0.500 0.000 0.000
0.500 0.000 0.500
0.500 0.500 0.249
0.500 0.500 0.751
```

# 3
This record from the Materials Project describes a relaxed MgCo4Cu3O12 crystal. The functional is PBE with a Hubbard U.

Spin magnetization ... 9.00 Bohr magnetons per cell
Crystal system ... triclinic
Polymorph energy (0 for the lowest one) ... 0.034 eV/atom
Space-group type ... No. 1

POSCAR file:
```
MgCo4Cu3O12
1.0
6.227 0.000 0.000
-2.071 5.896 0.000
-2.091 -2.933 5.157
Mg Co Cu O
1 4 3 12
Direct
0.000 0.000 0.000
0.043 0.072 0.537
0.044 0.563 0.037
0.534 0.562 0.527
0.542 0.072 0.037
0.041 0.570 0.537
0.542 0.068 0.536
0.545 0.571 0.035
0.180 0.391 0.871
0.216 0.936 0.733
0.219 0.555 0.351
0.342 0.906 0.171
0.357 0.248 0.532
0.526 0.376 0.205
0.570 0.770 0.868
0.729 0.888 0.544
0.741 0.230 0.900
0.865 0.206 0.345
0.865 0.592 0.727
0.911 0.756 0.196
```

# 4
This record from the Materials Project describes a relaxed Mg14CoCuO16 crystal. The functional is PBE with a Hubbard U.

Spin magnetization ... 2.67 Bohr magnetons per cell
Crystal system ... tetragonal
Polymorph energy (0 for the lowest one) ... 0.005 eV/atom
Space-group type ... No. 123

POSCAR file:
```
Mg14CoCuO16
1.0
8.512 0.000 0.000
0.000 8.512 0.000
0.000 0.000 4.255
Mg Co Cu O
14 1 1 16
Direct
0.000 0.248 0.000
0.000 0.500 0.500
0.000 0.752 0.000
0.248 0.000 0.000
0.250 0.500 0.000
0.251 0.251 0.500
0.251 0.749 0.500
********
End of the records of crystals:

Donna Thomas

Donna Thomas has worked and lived in Fort Bend County for over 28 years, a resident of Green Valley Estates Community. She served on the Green Valley CIA Board, GVE Civic Club, FortBend SN41 as Vice President and Fort Bend Sustainability Working Group. She also serves as Fort Bend County Precinct Chair, LISC Ambassador, Fort Bend County Environmental Leader with Texas Senate District 13, CEER Houston’s Regional Resilience Campaign, and has done work with Air Alliance Houston, Fort Bend County Representative with WA.Parish Working Group (#CloseParishCoal:Campaign) and the Founder/Chair of Fort Bend County Environmental Organization.


Emily Foxhall

Emily Foxhall joined The Texas Tribune as energy reporter in December 2022. She’s focused on the state’s transition to green energy, the reliability of the power grid and the environmental impact of electricity generation. Emily is based in Houston, where she grew up. After a stint as a Tribune student intern in 2012, she began her career at the Los Angeles Times and its community papers. She later worked at the Houston Chronicle where her environmental reporting uncovered the effects of climate change and pollution on the region. She won several Texas Managing Editors awards and was part of the 2017 team that was named a finalist for the Pulitzer Prize for breaking news coverage of Hurricane Harvey. Emily graduated from Yale University in 2013, where she studied English and was a Yale Journalism Scholar.

Pam Radtke

Pam is editor of Floodlight’s Gulf Coast team. Based in New Orleans, Pam is a veteran editor and reporter, focused on energy, environment and climate change. She was part of The New Orleans Times-Picayune team that published after Hurricane Katrina — efforts for which it was awarded two Pulitzer prizes — and covered the storm’s aftermath on the state’s oil and gas industry and electric utilities. Pam served as an energy and environment editor at CQ Roll Call, as a correspondent for Platts— where her work spanned from utility regulation to the BP oil spill— and as deputy editor at Engineering News-Record, where she led and wrote multiple award-winning climate-related packages. Pam’s reporting has also appeared in HuffPost and the Guardian.

Jane Patton

Jane is the Campaign Manager on the US Fossil Economy at the Center for International Environmental Law. Since 2016, Jane’s work has focused on organizing and coordinating groups around the world and in her home state of Louisiana in the fights against petrochemical pollution and false solutions to the climate and plastics crises.